I was wondering what the data structure is in an application like google/bing maps. How is it that the results are returned so quickly when searching for directions? what kind of algorithms are being used to determine this information?
I was wondering what the data structure is in an application like google/bing maps. How is it that the results are returned so quickly when searching for directions? what kind of algorithms are being used to determine this information?
I was wondering what the data structure is in an application like google/bing maps.
To the user: XHTML/CSS/Javascript. Like any website.
-- Quantum chemistry results from another source follow --
<<<
Formula: C35H39N5O8PSTi
Source: the Open Molecules 2025 dataset
Level of theory: the ωB97M-V functional and the def2-TZVPD basis

Properties
Calculated total energy: -103997.541 eV
Net charge: +1
Gap between HOMO and LUMO: 6.39 eV
Multiplicity: 1

Last column: Mulliken charge in e.
Geometry (Å):
Ti: -0.547 0.533 1.194  -0.993
O: 5.069 -1.728 0.300  -0.719
C: 4.274 -2.688 0.317  0.309
O: 4.152 -3.687 -0.394  -0.668
C: 3.034 -2.370 1.209  0.101
C: 3.084 -1.323 2.129  -0.450
C: 1.922 -0.646 2.403  0.935
N: 0.752 -1.058 1.899  -0.228
C: 0.672 -2.201 1.218  0.342
C: 1.801 -2.908 0.857  -0.748
C: -0.720 -2.506 0.881  0.205
C: -1.183 -3.764 0.557  -0.629
C: -2.550 -3.948 0.427  -0.527
C: -3.393 -2.869 0.639  -1.266
C: -2.840 -1.632 0.919  -0.819
N: -1.527 -1.436 1.015  1.798
C: 1.739 0.585 3.188  -0.369
C: 2.609 1.031 4.159  -0.605
C: 2.208 2.079 4.977  -0.827
C: 0.959 2.639 4.788  -0.859
C: 0.173 2.182 3.746  -0.447
N: 0.552 1.179 2.953  1.095
H: 4.060 -0.967 2.434  0.321
H: 1.782 -3.771 0.203  0.844
H: -0.486 -4.580 0.423  0.535
H: -2.949 -4.922 0.182  0.516
H: -4.467 -2.971 0.592  0.527
H: -3.478 -0.783 1.088  0.830
H: 3.551 0.524 4.312  0.516
H: 2.855 2.431 5.768  0.474
H: 0.596 3.436 5.418  0.498
H: -0.796 2.613 3.542  0.451
C: -3.108 3.166 0.177  -2.170
C: -3.143 1.641 0.369  1.891
C: -4.387 1.116 -0.343  -1.541
O: -1.978 0.963 -0.081  0.731
C: -3.164 1.440 1.891  0.083
O: -4.085 1.674 2.615  -0.623
O: -1.955 1.047 2.335  -0.369
H: -2.989 3.410 -0.878  0.515
H: -2.317 3.637 0.758  0.258
H: -4.061 3.569 0.517  0.539
H: -4.440 1.563 -1.336  0.492
H: -5.282 1.399 0.210  0.352
H: -4.367 0.037 -0.474  0.111
H: -1.273 1.597 -1.162  0.074
C: 1.624 6.222 1.129  -0.919
N: 0.907 5.216 0.347  0.163
C: 0.566 5.440 -0.942  -0.081
C: 0.025 4.459 -1.691  -1.284
C: -0.239 3.223 -1.042  0.019
O: -0.842 2.313 -1.755  -0.485
N: 0.075 2.979 0.231  1.390
C: 0.802 3.939 0.905  -0.575
O: 1.375 3.719 1.960  -0.593
H: 1.542 7.179 0.620  0.351
H: 2.671 5.944 1.235  0.301
H: 1.182 6.295 2.119  0.298
H: 0.751 6.437 -1.317  0.418
H: -0.271 4.595 -2.717  0.587
C: 2.796 -0.452 -1.781  -0.151
S: 2.086 0.998 -0.970  0.428
C: 3.413 1.350 0.182  -0.577
O: 0.952 0.413 -0.098  -0.050
H: 3.844 -0.573 -1.504  0.605
H: 2.678 -0.341 -2.854  0.536
H: 2.235 -1.308 -1.414  -0.779
H: 4.197 1.832 -0.403  0.647
H: 3.791 0.423 0.610  0.148
H: 3.031 2.034 0.939  -0.090
C: 0.031 -0.948 -4.006  -1.324
P: -0.857 -1.590 -2.528  1.625
C: -2.585 -1.413 -3.109  -1.619
C: -0.530 -3.381 -2.636  0.384
C: 0.777 -3.812 -2.396  -0.677
C: 1.078 -5.159 -2.272  -0.586
C: 0.067 -6.105 -2.396  -0.675
C: -1.232 -5.694 -2.658  -0.584
C: -1.530 -4.341 -2.773  -0.608
H: 1.102 -1.113 -3.895  0.295
H: -0.287 -1.421 -4.936  0.480
H: -0.147 0.127 -4.075  0.348
H: -2.799 -1.954 -4.033  0.487
H: -2.754 -0.348 -3.281  0.401
H: -3.283 -1.731 -2.334  0.334
H: 1.578 -3.088 -2.283  0.144
H: 2.097 -5.465 -2.068  0.515
H: 0.297 -7.158 -2.300  0.412
H: -2.018 -6.428 -2.780  0.453
H: -2.552 -4.040 -2.970  0.400
>>>
-- End of the quantum chemistry results --
On the server: who knows? Any Google devs around here? It certainly isn't PHP or ASP.net...
How is it that the results are returned so quickly when searching for directions?
Because Google spent years, manpower and millions of dollars on building up the architecture to get the fastest server reaction time possible?
What kind of algorithms are being used to determine this information?
I'm not sure of the internal data structure, but it may be some kind of 2D coordinate based tree structure that only displays a certain number of levels. The levels would correspond to zoom factors, so you could ignore as insignificant things below, say, 5 levels below the current level, and things above the current level.
Regardless of how it's structured, here's how you can use it:
For this sort of application, you would want some sort of database to represent map features and the connections between them, and would then need:
For 1, an example would be the R-tree data structure.
For 2, you need a graph search algorithm, such as A*.
I would think of it as a computational geometry problem. When you click on a particular coordinate in the map and using that information, can get the latitude and longitude of that location. Based on the latitude and longitude and the level of zoom, the place can be identified.
Once you have identified the two places, the only problem for you is to identify the nearest route. Now this problem is finding the shortest path between two points, having polygon blocks between them(which correspond to the places which contains no roads) and the only possible connections are roads. This is a known problem and efficient algorithms exist to solve this.
I am not sure if this is what google is doing, but I hope they do something on these lines.
I am taking computational geometry this semester. Here is the course link: http://www.ams.sunysb.edu/~jsbm/courses/545/ams545.html. Check them if you are interested.
Look up a paper about Highway Dimension from google authors. The idea is to precompute the shortest path between important nodes and then route everything through those. You are not going to use residential streets to go from LA to Chicago save for getting on and off the freeway at both ends.